Source:
********
VASP calculation (PBE-GGA) on a geometry-optimized BaLi6Zn6 structure.

Lattice parameters (Å, degrees): 7.279 7.279 7.279 137.59 99.49 95.56
Element x y z (fractional)
Ba 0.000 0.000 0.000
Li 0.224 0.500 0.724
Li 0.348 0.348 0.000
Li 0.358 0.000 0.358
Li 0.642 0.000 0.642
Li 0.652 0.652 0.000
Li 0.776 0.500 0.276
Zn 0.000 0.000 0.500
Zn 0.000 0.500 0.000
Zn 0.236 0.736 0.500
Zn 0.500 0.000 0.000
Zn 0.500 0.500 0.500
Zn 0.764 0.264 0.500

Calculated values
Formation enthalpy at 0 K in meV/atom: -157
Space-group type: Immm
DFT total energy in eV per atom: -1.776
Crystal system: orthorhombic


No. 1
The following is a PBE calculation of a geometry-optimized CdRe2Ru structure, from Alexandria via LeMat-Bulk.

Values from the calculation:
D(E_F): 0.784 states/eV per atom
Total magnetic moment: 0.0 μB/f.u.
ΔE_f: 0.378 eV/atom
Crystal system: tetragonal

Cell: 2.7469 2.7469 8.4004 Å, 90.00 90.00 90.00°
With the nearest neighbours (Å) after each atom.
Space group P4/mmm (No. 123)
One atom of each set of equivalent atoms:
Cd (0.0000, 0.0000, 0.0000) [1 per cell]  4 Cd 2.75, 8 Re 3.01
Re (0.5000, 0.5000, 0.2742) [2 per cell]  4 Ru 2.72, 4 Re 2.75, 4 Cd 3.01
Ru (0.0000, 0.0000, 0.5000) [1 per cell]  8 Re 2.72, 4 Ru 2.75

=====

No. 2
The following is a PBE calculation of a geometry-optimized CdRe3Ru structure, from Alexandria via LeMat-Bulk.

Values from the calculation:
D(E_F): 1.052 states/eV per atom
Relative energy among the computed polymorphs: 0.000 eV per atom
Total magnetic moment: 1.3 μB/f.u.
ΔE_f: 2.065 eV/atom
Crystal system: cubic

Cell: 4.6936 4.6936 4.6936 Å, 90.00 90.00 90.00°
With the nearest neighbours (Å) after each atom.
Space group Pm-3m (No. 221)
One atom of each set of equivalent atoms:
Cd (0.0000, 0.0000, 0.0000) [1 per cell]  12 Re 3.32
Re (0.0000, 0.5000, 0.5000) [3 per cell]  2 Ru 2.35
Ru (0.5000, 0.5000, 0.5000) [1 per cell]  6 Re 2.35

=====

No. 3
The following is a PBE calculation of a geometry-optimized CdRe2Ru structure, from Alexandria via LeMat-Bulk.

Values from the calculation:
D(E_F): 1.010 states/eV per atom
Total magnetic moment: 0.0 μB/f.u.
ΔE_f: 0.429 eV/atom
Crystal system: orthorhombic

Cell: 2.9267 4.6402 9.4404 Å, 90.00 90.00 90.00°
With the nearest neighbours (Å) after each atom.
Space group Cmm2 (No. 35)
One atom of each set of equivalent atoms:
Cd (0.0000, 0.0000, 0.0000) [2 per cell]  6 Cd 2.74-2.93, 2 Ru 2.86, 2 Re 2.96
Re (0.0000, 0.0000, 0.5080) [2 per cell]  2 Ru 2.63, 8 Re 2.66-2.93
Re (0.0000, 0.5000, 0.2728) [2 per cell]  8 Re 2.66-2.93, 2 Cd 2.96
Ru (0.0000, 0.5000, 0.7396) [2 per cell]  2 Re 2.63, 6 Ru 2.74-2.93, 2 Cd 2.86

=====

No. 4
The following is a PBE calculation of a geometry-optimized CdRe2Ru structure, from Alexandria via LeMat-Bulk.

Values from the calculation:
D(E_F): 1.209 states/eV per atom
Total magnetic moment: 0.0 μB/f.u.
ΔE_f: 0.230 eV/atom
Crystal system: trigonal

Cell: 2.8096 2.8096 27.8948 Å, 90.00 90.00 120.00°
With the nearest neighbours (Å) after each atom.
Space group R3m (No. 160, hexagonal axes)
One atom of each set of equivalent atoms:
Cd (0.0000, 0.0000, 0.0000) [3 per cell]  6 Cd 2.81, 3 Ru 2.95, 3 Re 3.02
Re (0.0000, 0.0000, 0.2419) [3 per cell]  9 Re 2.70-2.81, 3 Cd 3.02
Re (0.0000, 0.0000, 0.4977) [3 per cell]  3 Ru 2.67, 9 Re 2.70-2.81
Ru (0.0000, 0.0000, 0.7552) [3 per cell]  3 Re 2.67, 6 Ru 2.81, 3 Cd 2.95

=====

No. 5
The following is a PBE calculation of a geometry-optimized CdRe2Ru structure, from Alexandria via LeMat-Bulk.

Values from the calculation:
D(E_F): 1.187 states/eV per atom
Total magnetic moment: 0.0 μB/f.u.
ΔE_f: 0.621 eV/atom
Crystal system: orthorhombic

Cell: 3.0786 4.4098 4.6590 Å, 90.00 90.00 90.00°
With the nearest neighbours (Å) after each atom.
Space group Pmmm (No. 47)
One atom of each set of equivalent atoms:
Cd (0.0000, 0.0000, 0.0000) [1 per cell]  4 Ru 2.69, 4 Re 2.79
Re (0.0000, 0.5000, 0.5000) [1 per cell]  4 Re 2.69, 4 Ru 2.79
Re (0.5000, 0.0000, 0.5000) [1 per cell]  4 Re 2.69, 4 Cd 2.79
********

Brief:
The reader should count the lines earlier on that contain the word "Cd" and give the number alone.

Result:
11